Issue - meetings

Grass Cutting

Meeting: 07/09/2015 - Executive (Item 40)

Highway Verge Grass Cutting

Exempt Report of Director of Community and Environment

Additional documents:




(1)          That the action taken to address in part the 2015 highway verge difficulties in Cherwell’s three urban parishes be noted and supported.


(2)          That Oxfordshire County Council (OCC) be requested to reinstate a highway verge grass cutting agency agreement for 2016 with this Council for Bicester and Kidlington/Gosford & Water Eaton for five years.


(3)          That Cherwell District Council supports Banbury Town Council to achieve the same for Banbury.


(4)          That Cherwell District Council offers to share the additional costs net of any OCC funding on a 50:50 basis with the urban parishes to achieve a reinstatement of the 2014 highway verge grass cutting standards.


(5)          That the additional cost to Cherwell District Council of the 2015 action be included in the mid-year budget review process and the longer term proposal be considered as a growth item in the 2016/17 draft Revenue Budget process.



The Head of Environmental Services submitted an exempt report to consider the highway verge grass cutting difficulties in 2015 and alternative service delivery options for 2016.




(1)          That the action taken to address in part the 2015 highway verge difficulties in Cherwell’s three urban parishes be noted and supported.


(2)          That Oxfordshire County Council (OCC) be requested to reinstate a highway verge grass cutting agency agreement for 2016 with this Council for Bicester and Kidlington/Gosford & Water Eaton for five years.


(3)          That Cherwell District Council supports Banbury Town Council to achieve the same for Banbury.


(4)          That Cherwell District Council offers to share the additional costs net of any OCC funding on a 50:50 basis with the urban parishes to achieve a reinstatement of the 2014 highway verge grass cutting standards.


(5)          That the additional cost to Cherwell District Council of the 2015 action be included in the mid-year budget review process and the longer term proposal be considered as a growth item in the 2016/17 draft Revenue Budget process.




The inadequacy of the highway verge grass cutting standards in 2015 in Cherwell’s three urban parishes and the widespread adverse public response prompted the need for immediate action given OCC’s stance of only undertaking one grass cut. The town councils of Banbury and Bicester agreed a 2015 response through the use of Cherwell’s landscape management contractor for additional two cuts which mitigated in part the difficulties caused.


However, there is a need to consider putting in place alternative longer term, cost efficient arrangements which avoid a repetition of the 2015 difficulties. The options considered are to repeat the approach in 2015 with supplementary grass cuts funded jointly with the urban parishes or to reinstate the OCC agency agreement in the most cost efficient and best value way.


The recommended approach for the future is to reinstate the agency agreement for grass cutting on the highway verges of the three urban areas (albeit there will be two agreements to accommodate a more cost efficient Banbury solution) and through this plus the reduced funding from OCC, to reinstate the grass cutting standard of 2014 with the additional cost shared on a 50:50 basis between this Council and the urban parishes.

== Materials data, as found in the file ==
........
Record 1
CoGeC3: PBEsol geometry, meta-GGA SCAN.

Properties
The value obtained for the density of states at the Fermi level is 0.743 states/eV per atom. Its crystal system is cubic. Its total energy is -11.0869 eV per atom. The calculation puts the theoretical density at 5.31 g/cm³.

Cell: 3.743 3.743 3.743 Å, 90.00 90.00 90.00°
Space group Pm-3m (No. 221)
Asymmetric unit:
Co 0.000 0.000 0.000 x1
Ge 0.500 0.500 0.500 x1
C 0.000 0.000 0.500 x3



Record 2
PAu2: PBEsol geometry, meta-GGA SCAN.

Properties
The value obtained for the density of states at the Fermi level is 0.335 states/eV per atom. Its crystal system is orthorhombic. Its total energy is -49.3289 eV per atom. The calculation puts the theoretical density at 13.06 g/cm³.

Cell: 2.885 19.168 3.908 Å, 90.00 90.00 90.00°
Space group Cmcm (No. 63)
Asymmetric unit:
P 0.000 0.102 0.250 x4
Au 0.000 0.290 0.750 x4
Au 0.000 0.440 0.250 x4



Record 3
LiSi: PBEsol geometry, meta-GGA SCAN.

Properties
The value obtained for the density of states at the Fermi level is 0.222 states/eV per atom. As for the formation energy from raw total energies: -0.116 eV/atom. Its crystal system is tetragonal. Its total energy is -6.3192 eV per atom. The calculation puts the theoretical density at 2.16 g/cm³.

Cell: 2.557 2.557 4.122 Å, 90.00 90.00 90.00°
Space group P4/mmm (No. 123)
Asymmetric unit:
Li 0.000 0.000 0.000 x1
Si 0.500 0.500 0.500 x1



Record 4
TeMoW2F: PBEsol geometry, meta-GGA SCAN.

Properties
The value obtained for the density of states at the Fermi level is 0.839 states/eV per atom. As for the formation energy from raw total energies: 1.126 eV/atom. Its crystal system is tetragonal. Its total energy is -41.8846 eV per atom. The calculation puts the theoretical density at 12.49 g/cm³.

Cell: 4.050 4.050 4.945 Å, 90.00 90.00 90.00°
Space group P4/mmm (No. 123)
Asymmetric unit:
Te 0.000 0.000 0.000 x1
Mo 0.500 0.500 0.000 x1
W 0.000 0.500 0.500 x2
F 0.000 0.000 0.500 x1



Record 5
Cs: PBEsol geometry, meta-GGA SCAN.

Properties
The value obtained for the density of states at the Fermi level is 1.138 states/eV per atom. The offset from the most stable computed form is 4 meV per atom. Its crystal system is tetragonal. Its total energy is -37.8065 eV per atom. The calculation puts the theoretical density at 2.05 g/cm³.

Cell: 10.672 10.672 7.573 Å, 90.00 90.00 90.00°
Space group P4_2/mbc (No. 135)
Asymmetric unit:
Cs 0.005 0.250 0.000 x8



Record 6
K2BaH2: PBEsol geometry, meta-GGA SCAN.

Properties
The value obtained for the density of states at the Fermi level is 0.089 states/eV per atom. Its crystal system is tetragonal. Its total energy is -12.6067 eV per atom. The calculation puts the theoretical density at 2.24 g/cm³.

Cell: 4.931 4.931 13.241 Å, 90.00 90.00 90.00°
Space group I4/mmm (No. 139)
Asymmetric unit:
K 0.000 0.000 0.182 x4
Ba 0.000 0.000 0.500 x2
H 0.000 0.500 0.250 x4



Record 7
Co2TcTe: PBEsol geometry, meta-GGA SCAN.

Properties
........
== Here the page continues ==


Alternative options


Option 1: to repeat the supplementary cuts arrangement in 2015. This approach has not been well received due to the late start by OCC, the grass height between cuts and the subsequent significant arisings remaining and has been confusing for the public because of no clarity regarding about who is responsible. It also carries the risk that OCC can unilaterally change its cutting schedule with little time for this Council to respond through its own contractor.

Option 2: to do nothing and allow OCC to continue with two cuts of urban area highway verges. This will result in a repeat of the significant adverse public reaction experienced in 2015.